• Material:
........
No. 1
This record from Materials Project describes crystalline Te at its relaxed geometry. The functional is PBE-GGA.

## Properties
**Space group**: P2_12_12, No. 18
**Distance to the lowest polymorph of the same formula**: 11.8 kJ/mol of atoms

a = 5.248 Å, b = 8.299 Å, c = 3.107 Å
α = 90.00°, β = 90.00°, γ = 90.00°
Atoms (fractional coordinates):
Te1 0.204 0.110 0.262
Te2 0.296 0.610 0.738
Te3 0.704 0.390 0.738
Te4 0.796 0.890 0.262



No. 2
This record from Materials Project describes crystalline KZnH5S2O10 at its relaxed geometry. The functional is PBE-GGA.

## Properties
**Corrected total energy (MP2020 scheme)**: -5.772 eV/atom
**Space group**: P1, No. 1
**Total magnetic moment**: 0.00 Bohr magnetons per cell

a = 4.641 Å, b = 5.867 Å, c = 8.305 Å
α = 103.34°, β = 99.54°, γ = 95.49°
Atoms (fractional coordinates):
K1 0.000 0.000 0.000
Zn1 0.004 0.008 0.512
H1 0.065 0.657 0.668
H2 0.385 0.731 0.634
H3 0.499 0.531 0.018
H4 0.618 0.265 0.378
H5 0.934 0.337 0.340
S1 0.389 0.681 0.266
S2 0.609 0.318 0.748
O1 0.201 0.789 0.654
O2 0.215 0.878 0.300
O3 0.219 0.445 0.235
O4 0.351 0.286 0.606
O5 0.489 0.700 0.098
O6 0.509 0.306 0.909
O7 0.652 0.713 0.401
O8 0.782 0.551 0.770
O9 0.785 0.119 0.709
O10 0.797 0.203 0.351



No. 3
This record from Materials Project describes crystalline Al2O3 at its relaxed geometry. The functional is PBE-GGA.

## Properties
**Corrected total energy (MP2020 scheme)**: -7.702 eV/atom
**Space group**: P1, No. 1
**Total magnetic moment**: 0.01 Bohr magnetons per cell

a = 10.236 Å, b = 10.413 Å, c = 10.525 Å
α = 86.53°, β = 89.51°, γ = 87.65°
Atoms (fractional coordinates):
Al1 0.000 0.000 0.000
Al2 0.004 0.031 0.482
Al3 0.023 0.121 0.221
Al4 0.025 0.715 0.569
Al5 0.065 0.794 0.251
Al6 0.079 0.212 0.692
Al7 0.099 0.404 0.242
Al8 0.137 0.451 0.736
Al9 0.144 0.920 0.809
Al10 0.224 0.230 0.404
Al11 0.250 0.534 0.001
Al12 0.279 0.790 0.381
Al13 0.295 0.823 0.051
Al14 0.309 0.028 0.558
Al15 0.332 0.547 0.574
Al16 0.350 0.503 0.290
Al17 0.411 0.269 0.589
Al18 0.423 0.365 0.833
Al19 0.465 0.661 0.820
Al20 0.469 0.300 0.070
Al21 0.512 0.743 0.501
Al22 0.531 0.204 0.315
Al23 0.544 0.745 0.171
Al24 0.556 0.015 0.081
Al25 0.585 0.135 0.794
Al26 0.612 0.021 0.576
Al27 0.615 0.452 0.208
Al28 0.631 0.451 0.587
Al29 0.660 0.918 0.356
Al30 0.683 0.434 0.887
Al31 0.713 0.853 0.921
Al32 0.760 0.675 0.753
Al33 0.776 0.643 0.378
Al34 0.816 0.852 0.159
Al35 0.823 0.278 0.383
Al36 0.879 0.573 0.103
Al37 0.882 0.983 0.705
Al38 0.936 0.448 0.513
Al39 0.973 0.311 0.965
Al40 0.997 0.659 0.840
O1 0.001 0.029 0.825
O2 0.010 0.952 0.193
O3 0.035 0.375 0.628
O4 0.092 0.776 0.770
O5 0.097 0.291 0.840
O6 0.108 0.781 0.415
O7 0.121 0.538 0.884
O8 0.147 0.231 0.244
O9 0.163 0.589 0.611
O10 0.168 0.920 0.979
O11 0.169 0.057 0.434
O12 0.213 0.527 0.168
O13 0.224 0.406 0.377
O14 0.236 0.214 0.590
O15 0.238 0.795 0.212
O16 0.248 0.986 0.706
O17 0.310 0.411 0.710
O18 0.333 0.384 0.986
O19 0.335 0.685 0.952
O20 0.352 0.632 0.414
O21 0.367 0.879 0.486
O22 0.396 0.185 0.427
O23 0.434 0.663 0.650
O24 0.450 0.877 0.086
O25 0.451 0.363 0.237
O26 0.463 0.425 0.517
O27 0.470 0.091 0.648
O28 0.488 0.146 0.160
O29 0.490 0.588 0.199
O30 0.493 0.221 0.915
O31 0.511 0.501 0.862
O32 0.538 0.802 0.326
O33 0.555 0.302 0.702
O34 0.610 0.741 0.836
O35 0.614 0.004 0.920
O36 0.622 0.394 0.052
O37 0.628 0.078 0.413
O38 0.632 0.860 0.537
O39 0.642 0.608 0.483
O40 0.676 0.303 0.299
O41 0.686 0.978 0.190
O42 0.690 0.761 0.080
O43 0.702 0.518 0.726
O44 0.719 0.069 0.693
O45 0.759 0.550 0.234
O46 0.778 0.371 0.519
O47 0.800 0.809 0.330
O48 0.815 0.837 0.780
O49 0.821 0.332 0.895
O50 0.854 0.615 0.935
O51 0.858 0.913 0.004
O52 0.911 0.125 0.355
O53 0.922 0.630 0.693
O54 0.926 0.611 0.459
O55 0.949 0.891 0.567
O56 0.958 0.708 0.162
O57 0.963 0.127 0.609
O58 0.964 0.378 0.359
O59 0.984 0.425 0.100
O60 0.988 0.159 0.057



No. 4
This record from Materials Project describes crystalline Ca2BClO3 at its relaxed geometry. The functional is PBE-GGA.

## Properties
........

• Request:
It remains to duplicate the material further up from the first line to the one with "O14 0.236" word for word.

• Solution:
No. 1
This record from Materials Project describes crystalline Te at its relaxed geometry. The functional is PBE-GGA.

## Properties
**Space group**: P2_12_12, No. 18
**Distance to the lowest polymorph of the same formula**: 11.8 kJ/mol of atoms

a = 5.248 Å, b = 8.299 Å, c = 3.107 Å
α = 90.00°, β = 90.00°, γ = 90.00°
Atoms (fractional coordinates):
Te1 0.204 0.110 0.262
Te2 0.296 0.610 0.738
Te3 0.704 0.390 0.738
Te4 0.796 0.890 0.262



No. 2
This record from Materials Project describes crystalline KZnH5S2O10 at its relaxed geometry. The functional is PBE-GGA.

## Properties
**Corrected total energy (MP2020 scheme)**: -5.772 eV/atom
**Space group**: P1, No. 1
**Total magnetic moment**: 0.00 Bohr magnetons per cell

a = 4.641 Å, b = 5.867 Å, c = 8.305 Å
α = 103.34°, β = 99.54°, γ = 95.49°
Atoms (fractional coordinates):
K1 0.000 0.000 0.000
Zn1 0.004 0.008 0.512
H1 0.065 0.657 0.668
H2 0.385 0.731 0.634
H3 0.499 0.531 0.018
H4 0.618 0.265 0.378
H5 0.934 0.337 0.340
S1 0.389 0.681 0.266
S2 0.609 0.318 0.748
O1 0.201 0.789 0.654
O2 0.215 0.878 0.300
O3 0.219 0.445 0.235
O4 0.351 0.286 0.606
O5 0.489 0.700 0.098
O6 0.509 0.306 0.909
O7 0.652 0.713 0.401
O8 0.782 0.551 0.770
O9 0.785 0.119 0.709
O10 0.797 0.203 0.351



No. 3
This record from Materials Project describes crystalline Al2O3 at its relaxed geometry. The functional is PBE-GGA.

## Properties
**Corrected total energy (MP2020 scheme)**: -7.702 eV/atom
**Space group**: P1, No. 1
**Total magnetic moment**: 0.01 Bohr magnetons per cell

a = 10.236 Å, b = 10.413 Å, c = 10.525 Å
α = 86.53°, β = 89.51°, γ = 87.65°
Atoms (fractional coordinates):
Al1 0.000 0.000 0.000
Al2 0.004 0.031 0.482
Al3 0.023 0.121 0.221
Al4 0.025 0.715 0.569
Al5 0.065 0.794 0.251
Al6 0.079 0.212 0.692
Al7 0.099 0.404 0.242
Al8 0.137 0.451 0.736
Al9 0.144 0.920 0.809
Al10 0.224 0.230 0.404
Al11 0.250 0.534 0.001
Al12 0.279 0.790 0.381
Al13 0.295 0.823 0.051
Al14 0.309 0.028 0.558
Al15 0.332 0.547 0.574
Al16 0.350 0.503 0.290
Al17 0.411 0.269 0.589
Al18 0.423 0.365 0.833
Al19 0.465 0.661 0.820
Al20 0.469 0.300 0.070
Al21 0.512 0.743 0.501
Al22 0.531 0.204 0.315
Al23 0.544 0.745 0.171
Al24 0.556 0.015 0.081
Al25 0.585 0.135 0.794
Al26 0.612 0.021 0.576
Al27 0.615 0.452 0.208
Al28 0.631 0.451 0.587
Al29 0.660 0.918 0.356
Al30 0.683 0.434 0.887
Al31 0.713 0.853 0.921
Al32 0.760 0.675 0.753
Al33 0.776 0.643 0.378
Al34 0.816 0.852 0.159
Al35 0.823 0.278 0.383
Al36 0.879 0.573 0.103
Al37 0.882 0.983 0.705
Al38 0.936 0.448 0.513
Al39 0.973 0.311 0.965
Al40 0.997 0.659 0.840
O1 0.001 0.029 0.825
O2 0.010 0.952 0.193
O3 0.035 0.375 0.628
O4 0.092 0.776 0.770
O5 0.097 0.291 0.840
O6 0.108 0.781 0.415
O7 0.121 0.538 0.884
O8 0.147 0.231 0.244
O9 0.163 0.589 0.611
O10 0.168 0.920 0.979
O11 0.169 0.057 0.434
O12 0.213 0.527 0.168
O13 0.224 0.406 0.377
O14 0.236 0.214 0.590